I am trying to add strokeWidth for imported path-group type objects in fabricjs, but it is not working though if i view in console the updated strokeWdith exist. Here is my code
canvas.getObjects()[x].strokeWidth += 11.34;
Any help please?
as far I understand, it is not possible to add strokeWidth to complex (path-group) type object, as there are so many different shapes that develops that complex object. Adding strokeWidth will make the shape/object broken pieces.
I have the following definitions (simplified) in my CSS file.
:root {
--app-color-hue: 30;
--app-color: hsl(var(--app-color-hue), 80%, 60%);
body {
--app-color-hue: 145;
background: var(--app-color);
I was expecting to use the CSS variable app-color throughout my application and set the hue through --app-color-hue. However, the body element shows up Orange (30) instead of Green (145).
When I set the hsl myself in the value, the color updates just fine.
body {
background: hsl(var(--app-color-hue), 80%, 60%);
Codepen: https://codepen.io/Dyljyn/pen/BaNVwqE
Possible explanation
I'm assuming the problem is that hsl does detect the change and does not recalculate when a CSS variable inside it is updated in another element.
Does anyone have more insight on this matter?
I also don't know how I can report this as a bug if it is considered a bug. So I'd also appreciate anyone pointing me in the right direction regarding this.
I found the answer myself.
Custom properties are scoped to the element(s) they are declared on,
and participate in the cascade: the value of such a custom property is
that from the declaration decided by the cascading algorithm.
Source: https://developer.mozilla.org/en-US/docs/Web/CSS/--*
So my "possible explanation" is by design and therefor not a bug.
For my web app, I am creating SVG elements in Illustrator and then using them in a library of elements that users can add to the fabric canvas.
Some elements are simple but some complex with multiple compound paths etc.
I have came across an unusual issue where if I create a path with a gradient fill, and then copy that path, save the SVG and add it onto the canvas, only the first path would have the gradient and the rest would be flat colors.
Here is a screenshot of what I mean...
After experimenting and trying different things, I finally discovered that this is happening because the paths have the exact same gradient properties.
So if the gradient slider (color stops, opacity, location etc.) of two or more paths have the exact same properties in Illustrator, then the issue occurs.
So the workaround is to alter something like the location (for example) to be 99.9% instead of 100% on the copied path, then the issue goes away. However, this will quickly become a tedious and annoying way to fix this. Basically, each path with a gradient, needs to have a unique gradient set up and cannot be identical to another paths gradient properties.
Here are more screenshots to better explain...
After making this change...
The first and second path's gradient's location are different.
The first, third, fourth and fifth paths have exact same gradient.
This is what it looks like when I add it to the canvas now...
Here is the code I am using to add the SVG to the canvas...
fabric.loadSVGFromURL(image, function(objects, options) {
var oImg = fabric.util.groupSVGElements(objects, options);
oImg.perPixelTargetFind = true;
oImg.targetFindTolerance = 4;
Can anyone tell me why this is happening and if there is a way to fix this with code rather than Illustrator? I have hundreds of elements to create that will have many paths with the same gradients. I know it will be a real pain to have to worry about paths not having the exact same gradient.
Link to the SVG
I am truly stumped at this point. I need to get the bounding box of a path string. I cannot use RaphaelJS because it's integrated too deeply with the browser, and naturally the Illustrator Type Library doesn't include anything to help me.
Where can I go from here? Should I just spend the time implementing my own algorithm?
check out:
Rect geometricBounds Read only Property
The bounds of the artwork excluding stroke width.
There is not a lot of info on the Object Model Viewer about it. If it behaves like in InDesign the coordiantes depend on:
The page origin
The used unit
The page size
I hope that helps. You need to have a document open and have some PageItem selected. Should work with mostly everything you can put on a page in Illustrator.
var main = function(){
if(app.activeDocument.selection.length > 0){
var path = app.activeDocument.selection[0];
I'm new to Snap.svg and SVG and experimenting with transformations (an illustraiting plunk can be found here). Basically I'm trying to move, scale and rotate a shape according to its configuration. This is what I've found out so far:
rotating around a point is possible with rotate(angle, x, y)
there is no direct transform method to scale around a point but it can be done as described in "SVG Essentials"
However combining these transforms doesn't give me the expected result - my expected calculated center of the shape differs from the rendered one. Can anyone give me some pointers on how to correctly put these transforms together?
• What comes next are calculated crystals, not part of the page:
1.
# Ca3Hf3AgF20
Computed powder diffractogram, λ = 1.5418 Å (Cu Kα). Input: a structure optimized by DFT (GGA-PBE).
Intensities are scaled so that the largest is 100.

Top 6 peaks for 5° ≤ 2θ ≤ 70°, sorted by position:
Position (°2θ)  Rel. int.
14.14  37
20.89  70
25.43  100
33.13  46
44.82  36
50.20  30

Structural model:
Lattice parameters (Å, degrees): 10.699 10.699 8.504 90.00 90.00 120.00
Fractional coordinates of all 54 atoms:
Ca 0.162 0.434 0.250
Ca 0.272 0.838 0.250
Ca 0.434 0.272 0.750
Ca 0.566 0.728 0.250
Ca 0.728 0.162 0.750
Ca 0.838 0.566 0.750
Hf 0.139 0.416 0.750
Hf 0.277 0.861 0.750
Hf 0.416 0.277 0.250
Hf 0.584 0.723 0.750
Hf 0.723 0.139 0.250
Hf 0.861 0.584 0.250
Ag 0.000 0.000 0.250
Ag 0.000 0.000 0.750
F 0.000 0.000 0.000
F 0.000 0.000 0.500
F 0.033 0.797 0.250
F 0.056 0.586 0.250
F 0.059 0.776 0.750
F 0.145 0.425 0.516
F 0.145 0.425 0.984
F 0.185 0.634 0.750
F 0.203 0.236 0.250
F 0.224 0.283 0.750
F 0.236 0.033 0.750
F 0.280 0.855 0.516
F 0.280 0.855 0.984
F 0.283 0.059 0.250
F 0.333 0.667 0.250
F 0.366 0.551 0.750
F 0.414 0.470 0.250
F 0.425 0.280 0.016
F 0.425 0.280 0.484
F 0.449 0.815 0.750
F 0.470 0.056 0.750
F 0.530 0.944 0.250
F 0.551 0.185 0.250
F 0.575 0.720 0.516
F 0.575 0.720 0.984
F 0.586 0.530 0.750
F 0.634 0.449 0.250
F 0.667 0.333 0.750
F 0.717 0.941 0.750
F 0.720 0.145 0.016
F 0.720 0.145 0.484
F 0.764 0.967 0.250
F 0.776 0.717 0.250
F 0.797 0.764 0.750
F 0.815 0.366 0.250
F 0.855 0.575 0.016
F 0.855 0.575 0.484
F 0.941 0.224 0.250
F 0.944 0.414 0.750
F 0.967 0.203 0.750


2.
# Ca2Ga7Ag
Computed powder diffractogram, λ = 1.5418 Å (Cu Kα). Input: a structure optimized by DFT (GGA-PBE).
Intensities are scaled so that the largest is 100.

Top 6 peaks for 5° ≤ 2θ ≤ 70°, sorted by position:
Position (°2θ)  Rel. int.
16.01  27
22.11  27
31.91  30
33.54  100
41.88  62
44.18  59

Structural model:
Lattice parameters (Å, degrees): 4.315 4.315 11.071 90.00 90.00 90.00
Fractional coordinates of all 10 atoms:
Ca 0.000 0.500 0.250
Ca 0.500 0.000 0.750
Ga 0.000 0.000 0.000
Ga 0.000 0.000 0.500
Ga 0.000 0.500 0.638
Ga 0.000 0.500 0.861
Ga 0.500 0.000 0.139
Ga 0.500 0.000 0.362
Ga 0.500 0.500 0.500
Ag 0.500 0.500 0.000


3.
# Ca2GaAg
Computed powder diffractogram, λ = 1.5418 Å (Cu Kα). Input: a structure optimized by DFT (GGA-PBE).
Intensities are scaled so that the largest is 100.

Top 6 peaks for 5° ≤ 2θ ≤ 70°, sorted by position:
Position (°2θ)  Rel. int.
15.32  58
23.11  56
30.38  89
36.79  62
37.66  100
39.47  36

Structural model:
Lattice parameters (Å, degrees): 4.566 6.132 6.132 38.87 90.00 90.00
Fractional coordinates of all 4 atoms:
Ca 0.000 0.000 0.000
Ca 0.500 0.291 0.291
Ga 0.000 0.715 0.715
Ag 0.500 0.580 0.580


4.
# CaAg2Ge2
Computed powder diffractogram, λ = 1.5418 Å (Cu Kα). Input: a structure optimized by DFT (GGA-PBE).
Intensities are scaled so that the largest is 100.

Top 6 peaks for 5° ≤ 2θ ≤ 70°, sorted by position:
Position (°2θ)  Rel. int.
16.11  40
21.85  17
31.83  17
33.21  100
41.25  54
44.04  54
To combine transforms, I would use Snaps own transformString format. I would first have a read of my previous answer on SO here, this is slightly different so posting a slightly different example and answer.
Whilst Snap can use SVGs transform strings (rotate() scale() transform()). They don't by default centre around itself for example, whereas Snaps (and Raphaels) do. This makes it a bit easier. For more complex situations, one may need to look into Matrix methods, but I think the following should be ok...
Snaps transformString uses string t (transform), s (scale), r (rotate), and you can add them repeatedly if wanted.
Here is an example of both methods, to highlight the difference.
The article is interrupted by records of crystals:
-- begin --
Starting from a DFT-relaxed cell (GGA-PBE, Alexandria), the powder diffraction line list of CsRb2PSe4 was calculated for Cu Kα X-rays.
Kinematic intensities with the Lorentz-polarization factor, no thermal factor.

Top 10 peaks for 10° ≤ 2θ ≤ 90°, sorted by position:
(hkl)  two_theta  I/Imax
2 0 -2  18.10  19
2 2 -2  24.09  100
4 2 -2  28.93  68
4 0 0  31.84  62
4 0 -4  36.68  27
1 3 2  38.63  18
6 2 -2  40.33  29
4 4 -4  49.35  34
2 6 -2  52.27  22
6 6 -2  62.53  20

Crystal structure
```
data_CsRb2PSe4
_chemical_formula_sum 'Cs4 Rb8 P4 Se16'
_cell_length_a 14.907
_cell_length_b 11.242
_cell_length_c 9.800
_cell_angle_alpha 90.00
_cell_angle_beta 131.06
_cell_angle_gamma 90.00
_space_group_name_H-M_alt 'C 1 2/c 1'
_space_group_IT_number 15
loop_
_space_group_symop_operation_xyz
'x,y,z'
'-x,-y,-z'
'-x,y,-z+1/2'
'x,-y,z+1/2'
'x+1/2,y+1/2,z'
'-x+1/2,-y+1/2,-z'
'-x+1/2,y+1/2,-z+1/2'
'x+1/2,-y+1/2,z+1/2'
loop_
_atom_site_label
_atom_site_type_symbol
_atom_site_fract_x
_atom_site_fract_y
_atom_site_fract_z
_atom_site_occupancy
Cs1 Cs 0.250 0.250 0.000 1
Rb1 Rb 0.000 0.000 0.000 1
Rb2 Rb 0.250 0.250 0.500 1
P1 P 0.000 0.500 0.000 1
Se1 Se 0.000 0.293 0.013 1
Se2 Se 0.208 0.500 0.207 1
```


No. 1
Diffraction record for Mg16Al12Cd. The powder diffraction line list is computed, not measured: it uses DFT lattice parameters and positions (GGA-PBE) and copper Kα.
Kinematic intensities with the Lorentz-polarization factor, no thermal factor.

Peak list (10 most intense, 2θ = 10–80°, sorted by position)
2θ/deg	I/Imax
11.9	38
20.7	15
36.1	62
36.2	100
40.2	18
40.3	16
42.1	14
43.9	17
65.1	15
65.2	15

abc: 9.098 9.098 9.114
angles: 109.39 109.39 109.25
Element x y z (fractional)
Mg  0.000  0.000  0.000
Mg  0.001  0.001  0.343
Mg  0.001  0.601  0.317
Mg  0.288  0.682  0.684
Mg  0.315  0.998  0.601
Mg  0.321  0.600  0.000
Mg  0.346  0.999  0.998
Mg  0.402  0.715  0.401
Mg  0.600  0.321  0.000
Mg  0.601  0.001  0.317
Mg  0.654  0.654  0.663
Mg  0.682  0.288  0.684
Mg  0.688  0.688  0.290
Mg  0.715  0.402  0.401
Mg  0.998  0.315  0.601
Mg  0.999  0.346  0.998
Al  0.000  0.815  0.635
Al  0.003  0.634  0.817
Al  0.180  0.366  0.361
Al  0.183  0.183  0.820
Al  0.189  0.820  0.187
Al  0.366  0.180  0.361
Al  0.367  0.367  0.180
Al  0.634  0.003  0.817
Al  0.638  0.821  0.005
Al  0.815  0.000  0.635
Al  0.820  0.189  0.187
Al  0.821  0.638  0.005
Cd  0.386  0.386  0.704

---

No. 2
Diffraction record for Mg6AlCd. The powder diffraction line list is computed, not measured: it uses DFT lattice parameters and positions (GGA-PBE) and copper Kα.
Kinematic intensities with the Lorentz-polarization factor, no thermal factor.

Peak list (10 most intense, 2θ = 10–80°, sorted by position)
2θ/deg	I/Imax
20.2	19
22.5	27
28.5	16
30.4	14
35.2	100
40.5	17
41.0	32
59.0	21
70.3	12
70.9	24

abc: 4.405 4.405 8.899
angles: 90.00 90.00 90.00
Element x y z (fractional)
Mg  0.000  0.000  0.000
Mg  0.000  0.000  0.500
Mg  0.000  0.500  0.244
Mg  0.000  0.500  0.756
Mg  0.500  0.000  0.244
-- stop --
jsfiddle here
s = Snap(400, 620);
var r1 = s.rect(0, 0, 100, 100).attr({
fill : 'blue',
stroke : 'black',
opacity: 0.5
var r2 = r1.clone().attr({ fill: "red" });
r1.transform('t100,100s2,2r45'); //typical Snap way, rotation/scale around centre
┌──
Starting from a structure optimized by DFT (PBE+U), the powder diffractogram of K2DyVF6 was simulated for a wavelength of 1.5418 Å.

Main lines, by angle (10 to 80 degrees two-theta):
d [Å], 2theta, Rel. int.
5.343, 16.59, 37
5.185, 17.10, 64
4.312, 20.60, 36
3.982, 22.33, 17
3.317, 26.88, 100
2.988, 29.90, 26
2.595, 34.56, 32
2.156, 41.90, 29
2.111, 42.84, 19
1.658, 55.40, 19

Cell: 5.972 10.381 6.231 Å, 90.00 90.00 90.00°
Space group Pmmn (No. 59, origin choice 2)
One atom of each set of equivalent atoms:
K 0.250 0.014 0.236 x4
Dy 0.250 0.750 0.807 x2
V 0.250 0.250 0.692 x2
F 0.004 0.250 0.940 x4
F 0.014 0.250 0.435 x4
F 0.250 0.541 0.820 x4


[1]
The following is a theoretical powder X-ray diffraction pattern of Er3Ga. It was derived from a crystal structure in the Materials Project, relaxed with GGA-PBE, using a wavelength of 1.5418 Å.

Most intense lines, 10 to 80 degrees two-theta, sorted by position:
- 18.99°, rel. 8
- 26.98°, rel. 7
- 33.21°, rel. 100
- 38.53°, rel. 50
- 43.30°, rel. 4
- 47.67°, rel. 3
- 55.63°, rel. 35
- 59.33°, rel. 2
- 66.35°, rel. 41
- 69.71°, rel. 12

Cell and atoms:
a = 4.6729 Å, b = 4.6729 Å, c = 4.6729 Å
α = 90.00°, β = 90.00°, γ = 90.00°
Space group Pm-3m (No. 221)
One atom of each set of equivalent atoms:
Er  0.0000  0.0000  0.5000 x3
Ga  0.5000  0.5000  0.5000 x1



[2]
The following is a theoretical powder X-ray diffraction pattern of Zn6B3HO11. It was derived from a crystal structure in the Materials Project, relaxed with GGA-PBE, using a wavelength of 1.5418 Å.

Most intense lines, 10 to 80 degrees two-theta, sorted by position:
- 14.03°, rel. 38
- 18.25°, rel. 41
- 21.42°, rel. 60
- 25.70°, rel. 51
- 28.28°, rel. 100
- 29.78°, rel. 49
- 33.69°, rel. 48
- 36.98°, rel. 46
- 42.99°, rel. 54
- 56.24°, rel. 37

Cell and atoms:
a = 8.2968 Å, b = 8.2968 Å, c = 26.4085 Å
α = 90.00°, β = 90.00°, γ = 120.00°
Space group R3c (No. 161, hexagonal axes)
One atom of each set of equivalent atoms:
Zn  0.0638  0.5064  0.0000 x18
Zn  0.1666  0.3861  0.1090 x18
B  0.0006  0.4787  0.8876 x18
H  0.0000  0.0000  0.3962 x6
O  0.0000  0.0000  0.3425 x6
O  0.0000  0.0000  0.4369 x6
O  0.9998  0.3546  0.3875 x18
O  0.0195  0.4038  0.8426 x18
O  0.0711  0.3516  0.2663 x18



[3]
The following is a theoretical powder X-ray diffraction pattern of Li3TlPCO7. It was derived from a crystal structure in the Materials Project, relaxed with GGA-PBE, using a wavelength of 1.5418 Å.

Most intense lines, 10 to 80 degrees two-theta, sorted by position:
- 16.32°, rel. 100
- 16.97°, rel. 94
- 20.42°, rel. 43
- 23.85°, rel. 26
- 25.62°, rel. 61
- 26.27°, rel. 20
- 27.07°, rel. 24
- 30.87°, rel. 48
- 40.51°, rel. 22
- 43.84°, rel. 23

Cell and atoms:
a = 5.2279 Å, b = 6.9553 Å, c = 8.7004 Å
α = 90.00°, β = 91.71°, γ = 90.00°
Space group P2_1 (No. 4)
One atom of each set of equivalent atoms:
Li  0.0028  0.0000  0.1581 x2
Li  0.0790  0.1653  0.5097 x2
Li  0.4484  0.1907  0.0010 x2
Tl  0.4929  0.4299  0.3077 x2
P  0.4930  0.4429  0.7013 x2
└──
r2.transform('translate(100,100) scale(2,2,) rotate(45)'); //SVG way
The getBBox() method should be pretty reliable as far as I know (maybe post up a separate question on SO if you find an example where it is wrong)
I am new to SVG.js and javascript in general, and I was going over the documentation here http://documentup.com/wout/svg.js#usage/svg-document and was having some issues.
Create a SVG document
Use the SVG() function to create a SVG document within a given html element:
var draw = SVG('drawing').size(300, 300)
var rect = draw.rect(100, 100).attr({ fill: '#f06' })
so I was assuming from this they want us to call a function so what I've gathered from messing around a little in Three.js is that I need to do
function SVG()
//Use the SVG() function to create a SVG document within a given html
var draw = SVG('drawing').size(300, 300)
var rect = draw.rect(100, 100).attr({ fill: '#f06' })
within the body tag. This doesn't work however. When calling SVG(); I get an error
Uncaught RangeError: Maximum call stack size exceeded (15:22:47:898 | error, javascript)
at SVG (:18:13)
at SVG (:20:12)
at SVG (:20:12)
at SVG (:20:12)
at SVG (:20:12)
at SVG (:20:12)
There are other ways I can do it as mentioned, but it seems that the easiest method would be to call a function, but again I'm not sure if I'm doing this correctly.
I have a background in Java, just getting off of a project with JMonkeyEngine, so I'm not new to programming, but confused with what exactly I need to do with this, since the documentation is extremely vague and seems to suggest that you need to understand their terminology as to where to put the code.
I have also found a few other librarieslike snap.svg, d3, and raphael
I'm really just trying to create a bunch of pictures/colored boxes (interchangable so essentially a box with an image that can then be turned off and be displayed as a color) with borders, that can respond to mouse even of clicking and dragging around on desktop and mobile browsers. Essentially not much, but it seems like these all have similar features just a different coding feel.
Any advice?
Thank you everyone!
As said by Nils, there is a Hello World example here: https://stackoverflow.com/tags/svg.js/info
You also find plenty of documentation and examples to see what you have to do.
//Use the SVG() function to create a SVG document within a given html
var canvas = SVG(idOfElement)
// now an svg was created in the element with the id
// draw a rectangle